## Material
/*
The following is a PBE-GGA calculation of a relaxed CuPd crystal, from Materials Project.

Cell: 4.5344 4.5344 4.5344 Å, 35.16 35.16 35.16°
Positions (direct):
Cu (0.0000, 0.0000, 0.0000)
Pd (0.5000, 0.5000, 0.5000)

Output
Formation enthalpy at 0 K, eV/atom: -0.092
Space-group type: R-3m
Energy, eV/cell: -9.46


DFT (PBE-GGA) results for a relaxed structure of LiTiP2O7.

Results
Final energy: -7.39 eV/atom
Energy relative to the elements: -2.803 eV per atom
Mass density: 2.6 g/cm3

Cell lengths 5.270, 8.202, 14.393 Å; angles 90.00, 111.43, 90.00 degrees
Space group P2_1/c (No. 14)
Symmetry-distinct sites (fractional):
Li: 0.057 0.236 0.256 x4
Ti: 0.326 0.651 0.124 x4
P: 0.328 0.204 0.522 x4
P: 0.457 0.042 0.178 x4
O: 0.075 0.205 0.424 x4
O: 0.263 0.064 0.233 x4
O: 0.279 0.636 0.262 x4
O: 0.292 0.086 0.600 x4
O: 0.330 0.114 0.066 x4
O: 0.405 0.681 0.994 x4
O: 0.478 0.137 0.837 x4


The following is a PBE calculation of a relaxed Hg6MoAs4Cl7 crystal, from the Materials Project database.

Geometry as extended XYZ:
```
72
Lattice="12.4580 0.0000 0.0000 0.0000 12.4580 0.0000 0.0000 0.0000 12.4580" Properties=species:S:1:pos:R:3 pbc="T T T"
Hg 0.5682 2.3341 8.7087
Hg 0.5682 3.8949 2.4797
Hg 2.3341 8.7087 0.5682
Hg 2.3341 9.9782 6.7972
Hg 2.4797 0.5682 3.8949
Hg 2.4797 5.6607 10.1239
Hg 3.7493 6.7972 3.8949
Hg 3.7493 11.8897 10.1239
Hg 3.8949 2.4797 0.5682
Hg 3.8949 3.7493 6.7972
Hg 5.6607 8.5630 8.7087
Hg 5.6607 10.1239 2.4797
Hg 6.7972 2.3341 9.9782
Hg 6.7972 3.8949 3.7493
Hg 8.5630 8.7087 5.6607
Hg 8.5630 9.9782 11.8897
Hg 8.7087 0.5682 2.3341
Hg 8.7087 5.6607 8.5630
Hg 9.9782 6.7972 2.3341
Hg 9.9782 11.8897 8.5630
Hg 10.1239 2.4797 5.6607
Hg 10.1239 3.7493 11.8897
Hg 11.8897 8.5630 9.9782
Hg 11.8897 10.1239 3.7493
Mo 0.0000 0.0000 0.0000
Mo 0.0000 6.2290 6.2290
Mo 6.2290 0.0000 6.2290
Mo 6.2290 6.2290 0.0000
As 1.8884 8.1174 10.5695
As 1.8884 10.5695 4.3406
As 2.9041 2.9041 2.9041
As 2.9041 3.3249 9.1331
As 3.3249 9.1331 2.9041
As 3.3249 9.5538 9.1331
As 4.3406 1.8884 10.5695
As 4.3406 4.3406 4.3406
As 8.1174 8.1174 8.1174
As 8.1174 10.5695 1.8884
As 9.1331 2.9041 3.3249
As 9.1331 3.3249 9.5538
As 9.5538 9.1331 3.3249
As 9.5538 9.5538 9.5538
As 10.5695 1.8884 8.1174
As 10.5695 4.3406 1.8884
Cl 0.0000 0.0000 6.2290
Cl 0.0000 6.2290 0.0000
Cl 0.4751 6.7795 3.8944
Cl 0.4751 11.9074 10.1234
Cl 0.5506 2.3346 11.9828
Cl 0.5506 3.8944 5.7538
Cl 2.3346 6.7041 6.7795
Cl 2.3346 11.9828 0.5506
Cl 3.8944 0.4751 6.7795
Cl 3.8944 5.7538 0.5506
Cl 5.6784 8.5635 11.9828
Cl 5.6784 10.1234 5.7538
Cl 5.7538 0.5506 3.8944
Cl 5.7538 5.6784 10.1234
Cl 6.2290 0.0000 0.0000
Cl 6.2290 6.2290 6.2290
Cl 6.7041 6.7795 2.3346
Cl 6.7041 11.9074 8.5635
Cl 6.7795 2.3346 6.7041
Cl 6.7795 3.8944 0.4751
Cl 8.5635 6.7041 11.9074
Cl 8.5635 11.9828 5.6784
Cl 10.1234 0.4751 11.9074
Cl 10.1234 5.7538 5.6784
Cl 11.9074 8.5635 6.7041
Cl 11.9074 10.1234 0.4751
Cl 11.9828 0.5506 2.3346
Cl 11.9828 5.6784 8.5635
```

Output
Final energy in eV/atom: -2.9095
E_form in meV/atom: -690

The following is a PBE calculation of a relaxed Na2HgAsCl6 crystal, from the Materials Project database.

Geometry as extended XYZ:
```
10
Lattice="0.0000 5.3005 5.3005 5.3005 0.0000 5.3005 5.3005 5.3005 0.0000" Properties=species:S:1:pos:R:3 pbc="T T T"
Na 2.6502 2.6502 2.6502
Na 7.9507 7.9507 7.9507
Hg 0.0000 0.0000 0.0000
As 5.3005 5.3005 5.3005
Cl 5.3005 5.3005 2.7921
Cl 5.3005 2.7921 5.3005
Cl 7.8088 5.3005 5.3005
Cl 2.7921 5.3005 5.3005
Cl 5.3005 7.8088 5.3005
Cl 5.3005 5.3005 7.8088
```

Output
Final energy in eV/atom: -2.7537
E_form in meV/atom: -1252

The following is a PBE calculation of a relaxed TiHg6As4Cl7 crystal, from the Materials Project database.

Geometry as extended XYZ:
```
72
Lattice="12.5377 0.0000 0.0000 0.0000 12.5377 0.0000 0.0000 0.0000 12.5377" Properties=species:S:1:pos:R:3 pbc="T T T"
Ti 0.0000 0.0000 0.0000
Ti 0.0000 6.2688 6.2688
Ti 6.2688 0.0000 6.2688
Ti 6.2688 6.2688 0.0000
Hg 0.5854 2.3601 8.7215
Hg 0.5854 3.9087 2.4527
Hg 2.3601 8.7215 0.5854
*/

## Work order
Your job: repeat all of the entries above word for word.

## Written answer
The following is a PBE-GGA calculation of a relaxed CuPd crystal, from Materials Project.

Cell: 4.5344 4.5344 4.5344 Å, 35.16 35.16 35.16°
Positions (direct):
Cu (0.0000, 0.0000, 0.0000)
Pd (0.5000, 0.5000, 0.5000)

Output
Formation enthalpy at 0 K, eV/atom: -0.092
Space-group type: R-3m
Energy, eV/cell: -9.46


DFT (PBE-GGA) results for a relaxed structure of LiTiP2O7.

Results
Final energy: -7.39 eV/atom
Energy relative to the elements: -2.803 eV per atom
Mass density: 2.6 g/cm3

Cell lengths 5.270, 8.202, 14.393 Å; angles 90.00, 111.43, 90.00 degrees
Space group P2_1/c (No. 14)
Symmetry-distinct sites (fractional):
Li: 0.057 0.236 0.256 x4
Ti: 0.326 0.651 0.124 x4
P: 0.328 0.204 0.522 x4
P: 0.457 0.042 0.178 x4
O: 0.075 0.205 0.424 x4
O: 0.263 0.064 0.233 x4
O: 0.279 0.636 0.262 x4
O: 0.292 0.086 0.600 x4
O: 0.330 0.114 0.066 x4
O: 0.405 0.681 0.994 x4
O: 0.478 0.137 0.837 x4


The following is a PBE calculation of a relaxed Hg6MoAs4Cl7 crystal, from the Materials Project database.

Geometry as extended XYZ:
```
72
Lattice="12.4580 0.0000 0.0000 0.0000 12.4580 0.0000 0.0000 0.0000 12.4580" Properties=species:S:1:pos:R:3 pbc="T T T"
Hg 0.5682 2.3341 8.7087
Hg 0.5682 3.8949 2.4797
Hg 2.3341 8.7087 0.5682
Hg 2.3341 9.9782 6.7972
Hg 2.4797 0.5682 3.8949
Hg 2.4797 5.6607 10.1239
Hg 3.7493 6.7972 3.8949
Hg 3.7493 11.8897 10.1239
Hg 3.8949 2.4797 0.5682
Hg 3.8949 3.7493 6.7972
Hg 5.6607 8.5630 8.7087
Hg 5.6607 10.1239 2.4797
Hg 6.7972 2.3341 9.9782
Hg 6.7972 3.8949 3.7493
Hg 8.5630 8.7087 5.6607
Hg 8.5630 9.9782 11.8897
Hg 8.7087 0.5682 2.3341
Hg 8.7087 5.6607 8.5630
Hg 9.9782 6.7972 2.3341
Hg 9.9782 11.8897 8.5630
Hg 10.1239 2.4797 5.6607
Hg 10.1239 3.7493 11.8897
Hg 11.8897 8.5630 9.9782
Hg 11.8897 10.1239 3.7493
Mo 0.0000 0.0000 0.0000
Mo 0.0000 6.2290 6.2290
Mo 6.2290 0.0000 6.2290
Mo 6.2290 6.2290 0.0000
As 1.8884 8.1174 10.5695
As 1.8884 10.5695 4.3406
As 2.9041 2.9041 2.9041
As 2.9041 3.3249 9.1331
As 3.3249 9.1331 2.9041
As 3.3249 9.5538 9.1331
As 4.3406 1.8884 10.5695
As 4.3406 4.3406 4.3406
As 8.1174 8.1174 8.1174
As 8.1174 10.5695 1.8884
As 9.1331 2.9041 3.3249
As 9.1331 3.3249 9.5538
As 9.5538 9.1331 3.3249
As 9.5538 9.5538 9.5538
As 10.5695 1.8884 8.1174
As 10.5695 4.3406 1.8884
Cl 0.0000 0.0000 6.2290
Cl 0.0000 6.2290 0.0000
Cl 0.4751 6.7795 3.8944
Cl 0.4751 11.9074 10.1234
Cl 0.5506 2.3346 11.9828
Cl 0.5506 3.8944 5.7538
Cl 2.3346 6.7041 6.7795
Cl 2.3346 11.9828 0.5506
Cl 3.8944 0.4751 6.7795
Cl 3.8944 5.7538 0.5506
Cl 5.6784 8.5635 11.9828
Cl 5.6784 10.1234 5.7538
Cl 5.7538 0.5506 3.8944
Cl 5.7538 5.6784 10.1234
Cl 6.2290 0.0000 0.0000
Cl 6.2290 6.2290 6.2290
Cl 6.7041 6.7795 2.3346
Cl 6.7041 11.9074 8.5635
Cl 6.7795 2.3346 6.7041
Cl 6.7795 3.8944 0.4751
Cl 8.5635 6.7041 11.9074
Cl 8.5635 11.9828 5.6784
Cl 10.1234 0.4751 11.9074
Cl 10.1234 5.7538 5.6784
Cl 11.9074 8.5635 6.7041
Cl 11.9074 10.1234 0.4751
Cl 11.9828 0.5506 2.3346
Cl 11.9828 5.6784 8.5635
```

Output
Final energy in eV/atom: -2.9095
E_form in meV/atom: -690

The following is a PBE calculation of a relaxed Na2HgAsCl6 crystal, from the Materials Project database.

Geometry as extended XYZ:
```
10
Lattice="0.0000 5.3005 5.3005 5.3005 0.0000 5.3005 5.3005 5.3005 0.0000" Properties=species:S:1:pos:R:3 pbc="T T T"
Na 2.6502 2.6502 2.6502
Na 7.9507 7.9507 7.9507
Hg 0.0000 0.0000 0.0000
As 5.3005 5.3005 5.3005
Cl 5.3005 5.3005 2.7921
Cl 5.3005 2.7921 5.3005
Cl 7.8088 5.3005 5.3005
Cl 2.7921 5.3005 5.3005
Cl 5.3005 7.8088 5.3005
Cl 5.3005 5.3005 7.8088
```

Output
Final energy in eV/atom: -2.7537
E_form in meV/atom: -1252

The following is a PBE calculation of a relaxed TiHg6As4Cl7 crystal, from the Materials Project database.

Geometry as extended XYZ:
```
72
Lattice="12.5377 0.0000 0.0000 0.0000 12.5377 0.0000 0.0000 0.0000 12.5377" Properties=species:S:1:pos:R:3 pbc="T T T"
Ti 0.0000 0.0000 0.0000
Ti 0.0000 6.2688 6.2688
Ti 6.2688 0.0000 6.2688
Ti 6.2688 6.2688 0.0000
Hg 0.5854 2.3601 8.7215
Hg 0.5854 3.9087 2.4527
Hg 2.3601 8.7215 0.5854